-- begin --
# 1
Structure and theoretical XRD peak list of Sc3Os2Ru (a crystal structure in Alexandria, relaxed with PBE; Cu Kα X-rays).

Principal peaks in the range 10 to 80 degrees two-theta, sorted by position:
2θ/deg, intensity
27.57, 20
27.82, 39
39.57, 100
39.76, 49
49.07, 18
56.93, 8
57.48, 16
64.53, 8
71.67, 17
72.04, 33

Crystal structure
Cell lengths 7.168, 7.168, 6.470 Å; angles 90.00, 90.00, 143.11 degrees
Atoms (fractional coordinates):
Sc: 0.000 0.000 0.250
Sc: 0.000 0.000 0.750
Sc: 0.333 0.667 0.250
Sc: 0.333 0.667 0.750
Sc: 0.667 0.333 0.250
Sc: 0.667 0.333 0.750
Os: 0.167 0.833 0.000
Os: 0.500 0.500 0.000
Os: 0.500 0.500 0.500
Os: 0.833 0.167 0.000
Ru: 0.166 0.834 0.500
Ru: 0.834 0.166 0.500



# 2
Structure and theoretical XRD peak list of SrSi2OsRu (a crystal structure in Alexandria, relaxed with PBE; Cu Kα X-rays).

Principal peaks in the range 10 to 80 degrees two-theta, sorted by position:
2θ/deg, intensity
17.51, 46
22.66, 20
33.89, 21
34.67, 100
35.45, 19
42.47, 40
46.88, 20
56.47, 20
63.14, 22
72.67, 23

Crystal structure
Cell lengths 5.892, 5.892, 5.892 Å; angles 137.64, 137.64, 61.45 degrees
Atoms (fractional coordinates):
Sr: 0.000 0.000 0.000
Si: 0.358 0.358 0.000
Si: 0.642 0.642 0.000
Os: 0.750 0.250 0.500
Ru: 0.250 0.750 0.500



# 3
Structure and theoretical XRD peak list of Ta3OsRu (a crystal structure in Alexandria, relaxed with PBE; Cu Kα X-rays).

Principal peaks in the range 10 to 80 degrees two-theta, sorted by position:
2θ/deg, intensity
18.91, 8
26.87, 8
33.07, 100
38.37, 90
43.11, 3
47.46, 4
55.38, 62
66.04, 42
69.38, 21
75.86, 2

Crystal structure
Cell lengths 4.692, 4.692, 4.692 Å; angles 90.00, 90.00, 90.00 degrees
Atoms (fractional coordinates):
Ta: 0.000 0.000 0.500
Ta: 0.000 0.500 0.000
Ta: 0.500 0.000 0.000
Os: 0.500 0.500 0.500
Ru: 0.000 0.000 0.000



# 4
Structure and theoretical XRD peak list of Ta3OsRu2 (a crystal structure in Alexandria, relaxed with PBE; Cu Kα X-rays).

Principal peaks in the range 10 to 80 degrees two-theta, sorted by position:
2θ/deg, intensity
25.95, 2
29.18, 3
30.47, 2
39.44, 100
41.75, 43
49.81, 1
53.36, 10
60.51, 14
69.95, 19
74.66, 31

Crystal structure
Cell lengths 3.060, 3.060, 10.302 Å; angles 90.00, 90.00, 90.00 degrees
Atoms (fractional coordinates):
Ta: 0.000 0.000 0.000
Ta: 0.000 0.000 0.333
Ta: 0.000 0.000 0.667
Os: 0.500 0.500 0.500
Ru: 0.500 0.500 0.170
Ru: 0.500 0.500 0.830



# 5
Structure and theoretical XRD peak list of TaOsRu4 (a crystal structure in Alexandria, relaxed with PBE; Cu Kα X-rays).

Principal peaks in the range 10 to 80 degrees two-theta, sorted by position:
2θ/deg, intensity
15.55, 17
39.92, 50
40.32, 51
41.33, 100
42.23, 51
42.48, 46
56.41, 14
61.16, 14
61.74, 14
76.60, 16

Crystal structure
Cell lengths 6.530, 6.530, 5.105 Å; angles 110.02, 110.02, 102.15 degrees
Atoms (fractional coordinates):
Ta: 0.184 0.816 0.750
Ta: 0.816 0.184 0.250
Os: 0.084 0.916 0.250
Os: 0.916 0.084 0.750
Ru: 0.148 0.514 0.245
Ru: 0.265 0.408 0.766
Ru: 0.408 0.265 0.266
Ru: 0.486 0.852 0.255
Ru: 0.514 0.148 0.745
Ru: 0.592 0.735 0.734
Ru: 0.735 0.592 0.234
Ru: 0.852 0.486 0.755



# 6
Structure and theoretical XRD peak list of Ta6Os23Ru (a crystal structure in Alexandria, relaxed with PBE; Cu Kα X-rays).

Principal peaks in the range 10 to 80 degrees two-theta, sorted by position:
2θ/deg, intensity
37.72, 48
41.21, 100
43.19, 21
46.34, 10
48.15, 14
48.75, 11
63.73, 10
72.81, 9
75.12, 22
76.49, 11

Crystal structure
Cell lengths 8.762, 8.762, 8.762 Å; angles 60.00, 60.00, 60.00 degrees
Atoms (fractional coordinates):
Ta: 0.215 0.215 0.785
Ta: 0.215 0.785 0.215
Ta: 0.215 0.785 0.785
Ta: 0.785 0.215 0.215
Ta: 0.785 0.215 0.785
Ta: 0.785 0.785 0.215
Os: 0.000 0.000 0.500
Os: 0.000 0.500 0.000
Os: 0.000 0.500 0.500
Os: 0.146 0.618 0.618
Os: 0.174 0.174 0.174
Os: 0.174 0.174 0.479
Os: 0.174 0.479 0.174
Os: 0.382 0.382 0.382
Os: 0.382 0.382 0.854
Os: 0.382 0.854 0.382
Os: 0.479 0.174 0.174
Os: 0.500 0.000 0.000
Os: 0.500 0.000 0.500
Os: 0.500 0.500 0.000
-- stop --

It remains to filter the lines further above: keep the lines with the word "sorted".

Principal peaks in the range 10 to 80 degrees two-theta, sorted by position:
Principal peaks in the range 10 to 80 degrees two-theta, sorted by position:
Principal peaks in the range 10 to 80 degrees two-theta, sorted by position:
Principal peaks in the range 10 to 80 degrees two-theta, sorted by position:
Principal peaks in the range 10 to 80 degrees two-theta, sorted by position:
Principal peaks in the range 10 to 80 degrees two-theta, sorted by position: